Love Dependency Disease

723 Chapter 723 Demolition

Grandpa Liu Yi said, let Grandpa Qiao change his face, let Gu Yuchen\'s feet soften, and let Murong Hong secretly thumbs up.

This kid, sure enough!

"What are you screaming about, who is your grandfather!"

Master Qiao snorted, and then glared at Murong Hong, "Murong Hong, what do you mean? Come and take my army?"

"How can I say that, Mr. Qiao, don\'t you want to tell Fluttershy about your family? I\'ll take someone to show you this old man! Isn\'t it right with your heart, do you see how you pay it back? Angry?"

"I think you deliberately!"

Mr. Qiao said coldly, "Murong Hong, don\'t forget what you are now. You are no longer the chairman of the Murong Consortium that can stomping your feet in the north! Disobeying me will only make you worse! "

"Uncle, don\'t be too stubborn. Father Joe is also for you!"

Gu Yuchen on the side also quickly interjected, "Look, letting Fluttershy return to Qiao\'s house is not a bad thing, is it? In this way, Fluttershy can be her Miss Qianjin again, and you will Regain your original identity. It’s not a good time to live like this now. Just listen to Uncle, you still come by subway? Oops, where did people live these days. Uncle, even if you can suffer, think about small Butterfly, do you still want Fluttershy to suffer with him?"

"You care about Fluttershy."

Murong Hong smiled, "However, these don\'t need you to worry about. Even if I am not Murong Hong, I still have my son-in-law."

"Your son-in-law? What is your son-in-law?"

Mr. Qiao laughed, "I can even ruin Murong Hong. Will I be afraid of your son-in-law? Who is he? Believe it or not, I can disrupt their company with a phone call?"

"Senior man, this is a cold day, you are not afraid to flash your tongue when you talk big."

Liu Yi finally couldn\'t help but spoke, ironically.

"Hahaha, boy, I\'m afraid you don\'t know who I am?"

Then Mr. Qiao laughed, "Tell you, my name is Qiao Jiahui, and the economy of the whole South is basically in my hands! Is Murong Hong enough to make a big business? Isn’t it that I’m broken down? Tell you, I want to break down. Your family is really easy!"

"Okay, let\'s make a bet!"

Liu Yi snapped his fingers and said, "What if you can\'t disrupt my family with a phone call?"

"Oh, who do you think you are?"

Before waiting for Mr. Qiao to speak, Gu Yuchen on the side interjected, "No one in China has dared to talk to Mr. Qiao like this! Mr. Qiao is the leader of the economy. Just like you, a small person, killing you, it’s just a side dish. A plate, you know?"

Mr. Joe nodded, and he did not deny it.

"I don\'t care about these, I only care about whether you dare to gamble once."

Liu Yi stood there, with a little veteran at his age, asked.

"You are so arrogant at a young age!"

Mr. Qiao couldn\'t help but sneered, "Speak, what do you want to gamble?"

"If I lose, learn to bark, and walk out of this high-level club on my stomach. If you lose, I will immediately fund my father-in-law 20 billion yuan for free, how?"

Liu Yi\'s words caused Master Qiao and Gu Yuchen to laugh at the same time, "Interesting, really interesting, it seems that you guys want to insult yourself!"

"Well, I will let you see what you know, what is really cruel reality! Let you understand, who you can\'t afford!"

Grandpa Qiao said and picked up the phone, "Speak, who the hell are you?"

"Before speaking, I want to confirm one thing first."

Liu Yi didn\'t panic and said, "I think our old Joe, should be a promise of money, willing to gamble to lose, not regret it, right?"

"Just kidding, when I said Qiao Jiahui, when did I repent!"

"The best over there!"

Liu Yi nodded, then patted with his hand, "Brothers of the Red Scarf Army, you can come out."

A palm shot immediately came out from all around. Many men wearing black suits and red ribbons on their arms directly surrounded these people on the golf course.

Many of Joe\'s bodyguards panicked immediately, pulled out the batons one by one, and stared at the sturdy big men around!

"Hey, it looks like professional special forces, just right, you can have fun."

The members of the Red Towel Army are retired soldiers. It is too simple to clean up the underworld on weekdays. At this time, it is difficult to see some opponents, and each one has their hands itchy.

"Don\'t do it!"

Qiao Jiahui was very clever, and at a glance he could see the identities of these men tied with red ribbons.

"Red towel army... Red Star Group?"

He was a little surprised in his eyes, looked around, and finally fell on Liu Yi.

What\'s this boy...?

"Master, please sit down."

Two Red Scarf Army members carried a chair and placed it behind Liu Yi.

"You guys, it\'s not funny!"

The word "commander" has already frightened Qiao Jiahui, and Liu Yi\'s attitude towards these Red Scarves has made him feel cold.

"My father-in-law is still standing, can I sit alone? Your father-in-law, please sit down first."

Liu Yi can be considered as making a face for Murong Hong today. Murong Hong\'s heart blossomed, but he said fakely.

"Well, sit down."

The man with the Red Scarf next to him came to the chair and put it behind Liu Yi.

Liu Yi sat down and stood next to a big man, carrying a fan in his hand to give Liu Yi a fan.

"Fuck, did you make a mistake, this is winter, fan your sister\'s wind!"

Liu Yi couldn\'t help crying and glared at the Red Scarf Army.

"Um... Lord Commander, I watch it on TV..."

"You watch more TV! Stand behind, don\'t be embarrassing!"

Calculated molecules from another source follow >
+++
# 1
An isolated molecule of C5H10O, computed with ωB97M-V/def2-TZVPD.

Geometry as XYZ:
```
16
Properties=species:S:1:pos:R:3:forces:R:3:lowdin_charge:R:1
C 0.606485 -0.240259 2.057964 0.03 -0.08 0.05 -0.0367
C 0.454506 -0.108736 0.527139 -0.25 0.07 0.00 -0.4037
O 1.525157 -0.812167 -0.113544 0.36 0.27 -0.06 -0.0501
C -0.811503 -0.693870 -0.074697 0.05 -0.13 0.09 -0.2667
C -1.944516 0.149080 -0.598595 -0.15 0.14 0.09 -0.1155
C -0.994623 -0.510926 -1.554252 0.05 -0.03 -0.14 -0.1249
H -0.016249 -1.048307 2.450505 0.01 0.04 -0.06 0.0724
H 0.361486 0.673784 2.615500 -0.07 -0.17 -0.29 0.0745
H 1.648365 -0.502632 2.294838 -0.30 0.16 -0.14 0.0778
H 0.493687 0.955513 0.243490 0.04 -0.17 0.04 0.1428
H 2.209741 -0.166065 -0.314294 0.07 -0.22 0.05 0.0908
H -1.082746 -1.672021 0.318828 0.05 0.14 -0.02 0.1404
H -2.952048 -0.252406 -0.527818 0.19 0.07 0.06 0.0961
H -1.892722 1.229332 -0.487157 0.06 -0.17 0.01 0.0982
H -0.263817 0.115615 -2.060721 -0.13 -0.09 0.13 0.1035
H -1.335492 -1.350514 -2.155098 0.01 0.15 0.20 0.1013
```
Forces are in eV/Å.

Summary:
lowest unoccupied orbital energy = 1.0 eV
electronic energy = -7393.5257 eV
SMILES string = C[C@@H](O)C1CC1
HOMO energy = -0.3740 Ha
energy above the lowest of the compared OMol25 structures with the same formula, charge and spin = 28.59 kcal/mol



# 2
A cluster of 5 separate species, CH14N2O4 in total, computed with ωB97M-V/def2-TZVPD.

Geometry as XYZ:
```
21
Properties=species:S:1:pos:R:3:forces:R:3:lowdin_charge:R:1
N 2.430605 -1.687267 0.956013 1.31 -1.52 0.92 -0.0251
C 1.669717 -0.724433 1.756851 1.83 0.91 0.46 -0.4316
N 0.342199 -1.091966 2.097675 -2.95 0.21 -1.59 -0.0508
H 3.021400 -1.408812 0.180951 -0.76 0.88 -0.19 0.0491
H 3.159820 -2.093376 1.569037 -0.90 -0.02 -0.36 0.0623
H 2.169655 -0.674522 2.781362 0.05 0.64 -1.43 0.1089
H 1.654095 0.243482 1.171986 0.05 -0.82 1.21 0.0968
H -0.329183 -0.468784 1.510533 1.23 -2.28 1.21 0.0820
H 0.160202 -2.133034 2.029626 0.17 1.95 -0.24 0.0907
H -2.609186 2.455179 1.159169 -0.99 0.67 1.63 0.0234
H -1.735833 2.107196 0.123176 -2.23 -0.77 -0.69 0.0677
O -2.753169 2.088048 0.304494 3.46 0.48 -0.55 -0.0979
H 0.691726 1.870086 -0.401880 -1.55 -1.52 0.38 0.0979
H 0.031898 0.995816 -1.434736 -0.45 -0.31 1.72 0.0690
O -0.033142 1.153960 -0.439423 2.05 1.94 -2.09 -0.1102
H -3.299695 -0.067445 -0.112106 -0.34 0.60 -2.76 0.0691
H -3.346600 1.023474 -1.247837 -0.19 -1.12 0.44 0.0107
O -3.436219 0.052633 -1.121694 0.32 -0.01 1.85 -0.1385
H 1.249916 -1.112572 -3.638304 0.47 -0.47 0.08 0.0366
H 0.030629 -0.300020 -3.758024 -1.16 0.14 -0.32 0.0248
O 0.931169 -0.227642 -3.486862 0.57 0.42 0.33 -0.0350
```
Forces are in eV/Å.

Summary:
lowest unoccupied orbital energy = 0.3 eV
electronic energy = -12433.0608 eV
SMILES string = NCN.O.O.O.O
HOMO energy = -0.3282 Ha
energy above the lowest of the compared OMol25 structures with the same formula, charge and spin = 45.91 kcal/mol



# 3
An isolated molecule of CH5BS, computed with ωB97M-V/def2-TZVPD.

Geometry as XYZ:
```
8
+++


"How is it, Mr. Joe, you should call."

Liu Yi was sitting in a chair, and a younger brother took out Zhonghua Cigarette.

"Second goods, don\'t you know our commander does not smoke!"

"Ah, I really don\'t know..."

Liu Yi covered his forehead, these guys are really ashamed...

"What do you mean……"

Although the other party is the Red Scarf Army, Qiao Jiahui is still carrying his own rack, after all, he is a financial predator!

"Don\'t you play awesome on my ground?"

"Your territory?"

Liu Yi smiled, "Master Joe, look at what this is."

Liu Yi clapped his hands and immediately came behind a member of the Red Scarf Army, holding a contract in his hand.

"This is a land lease contract, and now this land is owned by my Red Star Group. You are allowed to move the entire clubhouse within a day, otherwise, don\'t blame me for ostracizing!"

"What? Land lease contract? How is it possible?"

Qiao Jiahui said incredulously, "I have ten years of rent here! It is not yet expired!"

"If you don\'t believe me, please call Joe!"

Liu Yi had sent Chen Dahai to do these things before he entered here. He originally wanted to give someone who had a bad thought to Fluttershy to get off the horse, but he did not expect to get Fluttershy and her grandfather first.

But the other party deserves it. Who made him want to marry Fluttershy?

If you want to move your own woman, be ready to bear your anger first!

"Break contract? This, how can this be done, even if the compensation is not enough for my financial loss, your behavior is simply... Hey, hey?"

Qiao Jiahui had finished the phone call, and his face was obviously very ugly.

He really didn\'t expect that the Red Star Group had such great energy that it could influence the government\'s ideas, and even let the authorities rent the land to Red Star without hesitation for breach of contract!

Although some liquidated damages can be obtained, the value of the club’s economic damage cannot be estimated!

After all, there are some really rich people in this clubhouse, they spend money, sincerely like running water!

And such a big club, move away within a day... This is too exaggerated!

"What the hell are you doing!"

Qiao Jiahui felt fear for the first time. He had been in business for so long, and worked hard in the mall for so many years. It was the first time he felt fear!

The other party has such terrible energy, and the Red Scarf Army eats black and white, and Murong Hong even finds such a bullish person to be his son-in-law!

Compared with that kid, it seems that Gu Yuchen really can\'t count anything...

"You are too much! Are you really the emperor?"

Gu Yuchen couldn\'t control his emotions and shouted, "I\'m the young master of the Gu family in Beijing, tell you, this is what you want to win!"

"Let him shut up."

Liu Yi clapped his hands, and a red towel army immediately appeared behind Gu Yuchen, slapped his neck with a slap, and knocked the young Master Gu away.

"This is much quieter."

Liu Yi clapped his hands, "Speaking of taking advantage, Mr. Qiao, this buddy is hitting your face."

Liu Yiyi pointed out, then the old Joe suddenly blushed and said.

"Huh, the mall is like a battlefield, and the soldiers are not deceitful. He Muronghong thought it was too greedy to get this end, no wonder I.

"Yeah, that\'s why Mr. Joe became so arrogant."

Liu Yi asked back, leaving Qiao Jiahui speechless for a long time.

"Oh, come back to what happened just now, isn\'t Mr. Qiao trying to disintegrate my family?"

Liu Yi clapped her hands gently, "Now my family is all in front of you, Father Joe, it\'s up to you."

See your sister!Red towel army!It\'s strange that I can disintegrate!

Red Star Group and the government wear a pair of pants, almost everyone in the business knows!Who can bring them down?It\'s impossible!

Next to the page, the page also holds calculated molecules >
'''
# 1
This record from the OMol25 dataset describes a cluster of 7 separate species, C29H37N6O in total at a distorted geometry. The level of theory is ωB97M-V/def2-TZVPD.

Output
Molar mass = 485.656 g/mol
Net charge = +1
Strongest force on any atom = 1.677 eV/Å
Spin multiplicity = 1
Energy relative to the best compared isomer or geometry (same formula, charge and spin) = 0.00 kcal per mole
DFT total energy = -41656.0872 eV

Last columns: bonded neighbours and bond lengths (Å).
Atoms and positions in Å:
1 H 45.828 -13.245 27.302  C13 1.079
2 C 47.145 -6.751 22.205  H11 1.086, C31 1.518, H41 1.093, O50 1.443
3 C 43.456 -8.088 19.945  H5 1.084, C38 1.390, N40 1.338
4 H 47.852 -8.532 19.889  C25 1.095
5 H 44.319 -7.470 20.167  C3 1.084
6 H 45.969 -9.551 22.833  N60 1.044
7 H 41.011 -8.383 17.673  C33 1.083
8 H 49.229 -7.128 21.892  C31 1.092
9 C 47.261 -7.352 27.200  C14 1.407, H18 1.081, C57 1.365
10 H 47.667 -5.481 19.828  C68 1.088
11 H 47.196 -7.220 23.184  C2 1.086
12 H 50.912 -11.977 21.236  C71 1.081
13 C 45.052 -12.942 26.616  H1 1.079, C26 1.380, C53 1.389
14 C 46.317 -7.129 28.218  C9 1.407, C30 1.371, H51 1.082
15 H 44.901 -8.621 23.741  N60 1.028
16 C 41.396 -9.720 19.334  C33 1.384, H37 1.081, C56 1.382
17 C 42.862 -6.578 23.389  H19 1.083, C23 1.383, N58 1.338
18 H 48.301 -7.089 27.335  C9 1.081
19 H 42.562 -7.577 23.097  C17 1.083
20 H 47.511 -8.199 25.221  C57 1.085
21 H 46.170 -11.502 25.486  C26 1.084
22 H 49.083 -6.574 19.522  C68 1.087
23 C 41.985 -5.508 23.424  C17 1.383, C46 1.381, H49 1.084
24 C 43.157 -12.426 24.719  N34 1.339, C59 1.387, H65 1.084
25 C 47.255 -7.626 20.041  H4 1.095, O50 1.415, H64 1.094, C68 1.541
26 C 45.214 -11.995 25.626  C13 1.380, H21 1.084, N34 1.340
27 C 48.864 -11.463 20.898  C36 1.382, H62 1.082, C71 1.392
28 H 48.819 -5.394 21.943  C31 1.090
29 H 43.756 -14.457 27.317  C53 1.084
30 C 45.025 -7.528 27.993  C14 1.371, H43 1.082, C54 1.399
31 C 48.490 -6.377 21.607  C2 1.518, H8 1.092, H28 1.090, C68 1.531
32 H 48.698 -10.071 24.402  C63 1.085
33 C 41.596 -8.590 18.560  H7 1.083, C16 1.384, C38 1.389
34 N 44.300 -11.730 24.681  C24 1.339, C26 1.340
35 H 42.858 -6.872 18.263  C38 1.079
36 C 47.714 -10.927 21.447  C27 1.382, H45 1.084, N52 1.345
37 H 40.581 -10.415 19.187  C16 1.081
38 C 42.639 -7.730 18.879  C3 1.390, C33 1.389, H35 1.079
39 H 50.847 -11.060 23.588  C48 1.082
40 N 43.300 -9.187 20.693  C3 1.338, C56 1.337
41 H 46.513 -5.860 22.219  C2 1.093
42 H 42.091 -10.843 20.997  C56 1.085
43 H 44.232 -7.383 28.714  C30 1.082
44 H 45.515 -5.269 24.726  C72 1.082
45 H 46.805 -10.845 20.862  C36 1.084
46 C 42.395 -4.269 23.873  C23 1.381, H47 1.081, C73 1.382
47 H 41.735 -3.417 23.797  C46 1.081
48 C 49.981 -11.010 22.942  H39 1.082, C63 1.382, C71 1.382
49 H 40.983 -5.628 23.027  C23 1.084
50 O 46.572 -7.697 21.278  C2 1.443, C25 1.415
51 H 46.562 -6.506 29.068  C14 1.082
52 N 47.653 -10.455 22.704  C36 1.345, C63 1.335
53 C 43.848 -13.635 26.615  C13 1.389, H29 1.084, C59 1.389
'''
So much for the calculated molecules >

For the first time in life, Qiao Jiahui wanted to beat his face for what he said!

What a regret he has!

20 billion!Not two hundred dollars!

Although Qiao Jiahui had a great career, but money wasn\'t brought by the wind, he hurt!